- - -
Calculated X-ray diffraction stick pattern
Compound: NaV2Bi3O10
Radiation: Cu Kα, 1.54184 Å
Structure: DFT lattice parameters and positions (GGA+U)
Lines closer than 0.1° are merged.

The 10 most intense peaks (2θ = 5–70°), sorted by position:
d (Å), intensity, h k l
6.147, 54, 0 1 0
5.049, 24, 1 1 0
3.432, 22, 1 2 1
3.385, 100, 1 -1 0
3.250, 51, 1 2 0
3.196, 46, 1 1 2
2.903, 51, 1 0 -2
2.835, 29, 0 2 2
2.824, 22, 2 1 0
2.596, 22, 0 1 -2

Structural model:
```
data_NaV2Bi3O10
_chemical_formula_sum 'Na1 V2 Bi3 O10'
_space_group_name_H-M_alt 'P 1'
_space_group_IT_number 1
_cell_length_a 5.6829
_cell_length_b 7.1595
_cell_length_c 7.2798
_cell_angle_alpha 68.42
_cell_angle_beta 84.14
_cell_angle_gamma 66.86
loop_
_space_group_symop_operation_xyz
'x,y,z'
loop_
_atom_site_label
_atom_site_fract_x
_atom_site_fract_y
_atom_site_fract_z
Na1 0.0000 0.0000 0.0000
V1 0.3418 0.3163 0.7936
V2 0.8958 0.0450 0.4738
Bi1 0.2096 0.3905 0.2584
Bi2 0.5431 0.6703 0.3827
Bi3 0.6799 0.7054 0.8858
O1 0.0906 0.4049 0.9469
O2 0.1521 0.9707 0.3240
O3 0.2678 0.4749 0.5358
O4 0.3912 0.0475 0.8395
O5 0.4034 0.6305 0.1404
O6 0.6029 0.3375 0.8609
O7 0.6250 0.0432 0.3902
O8 0.8412 0.7053 0.1441
O9 0.8554 0.3130 0.4462
O10 0.9564 0.8794 0.7226
```

=====

The following is a calculated powder X-ray diffraction pattern of MoN. It was derived from the GGA-PBE geometry in the Materials Project, using Cu Kα (weighted mean of Kα1 and Kα2).
Lines closer than 0.1° are merged.

Largest 6 diffraction maxima, by intensity, 2θ = 15–90°:
Position (°2θ)	I_rel	index
47.55	100	1 1 0
33.12	84	1 0 0
88.57	33	2 1 1
79.19	29	2 1 0
59.17	21	1 1 1
69.51	15	2 0 0

Atomic structure:
Cell lengths 2.7045, 2.7045, 2.7045 Å; angles 90.00, 90.00, 90.00 degrees
Space group Pm-3m (No. 221)
Unique sites:
Mo  0.0000  0.0000  0.0000 (multiplicity 1)
N  0.5000  0.5000  0.5000 (multiplicity 1)
- - -

Find the line further up that holds "Compound: NaV2Bi3O10", then repeat that line and all lines after it there.

Compound: NaV2Bi3O10
Radiation: Cu Kα, 1.54184 Å
Structure: DFT lattice parameters and positions (GGA+U)
Lines closer than 0.1° are merged.

The 10 most intense peaks (2θ = 5–70°), sorted by position:
d (Å), intensity, h k l
6.147, 54, 0 1 0
5.049, 24, 1 1 0
3.432, 22, 1 2 1
3.385, 100, 1 -1 0
3.250, 51, 1 2 0
3.196, 46, 1 1 2
2.903, 51, 1 0 -2
2.835, 29, 0 2 2
2.824, 22, 2 1 0
2.596, 22, 0 1 -2

Structural model:
```
data_NaV2Bi3O10
_chemical_formula_sum 'Na1 V2 Bi3 O10'
_space_group_name_H-M_alt 'P 1'
_space_group_IT_number 1
_cell_length_a 5.6829
_cell_length_b 7.1595
_cell_length_c 7.2798
_cell_angle_alpha 68.42
_cell_angle_beta 84.14
_cell_angle_gamma 66.86
loop_
_space_group_symop_operation_xyz
'x,y,z'
loop_
_atom_site_label
_atom_site_fract_x
_atom_site_fract_y
_atom_site_fract_z
Na1 0.0000 0.0000 0.0000
V1 0.3418 0.3163 0.7936
V2 0.8958 0.0450 0.4738
Bi1 0.2096 0.3905 0.2584
Bi2 0.5431 0.6703 0.3827
Bi3 0.6799 0.7054 0.8858
O1 0.0906 0.4049 0.9469
O2 0.1521 0.9707 0.3240
O3 0.2678 0.4749 0.5358
O4 0.3912 0.0475 0.8395
O5 0.4034 0.6305 0.1404
O6 0.6029 0.3375 0.8609
O7 0.6250 0.0432 0.3902
O8 0.8412 0.7053 0.1441
O9 0.8554 0.3130 0.4462
O10 0.9564 0.8794 0.7226
```

=====

The following is a calculated powder X-ray diffraction pattern of MoN. It was derived from the GGA-PBE geometry in the Materials Project, using Cu Kα (weighted mean of Kα1 and Kα2).
Lines closer than 0.1° are merged.

Largest 6 diffraction maxima, by intensity, 2θ = 15–90°:
Position (°2θ)	I_rel	index
47.55	100	1 1 0
33.12	84	1 0 0
88.57	33	2 1 1
79.19	29	2 1 0
59.17	21	1 1 1
69.51	15	2 0 0

Atomic structure:
Cell lengths 2.7045, 2.7045, 2.7045 Å; angles 90.00, 90.00, 90.00 degrees
Space group Pm-3m (No. 221)
Unique sites:
Mo  0.0000  0.0000  0.0000 (multiplicity 1)
N  0.5000  0.5000  0.5000 (multiplicity 1)